[Video] Maim the Disillusioned in Team arena
Interesting to see.
Now I could be wrong but wasn’t it the rangers who where doing most of the face melting? Yes you did get a few nice spikes of 10+ torment but they didn’t last long and it didn’t really seem to be doing that much damage and every time somebody dropped like a sack of spuds, there where being focus fired.
The reason he didn’t specifically melt people is because 80% of his Scepter 2 blocks were wasted. You need to be sure to use it when you know you’re going to be hit.
Other than that, very nice video!! gj.
“The jealous are troublesome to others, but certainly a torment to themselves.”
Youre playstyle is too much like pu condi. Be more aggressive with your shatter, stay closer to your opponents pop three clones around them then shatter. For example a good shatter combo with staff while your enemy is close and vulnerable would be mirror images, staff blink, shatter. If youre close they wont have time to react and they should eat 6 stacks of torment.
I noticed that you were mainly guessing when the opponent was going to attack when you used scepter block. You need to bait them into it and have good timing. One thing i like to do is open up with confusion scepter channel. Your opponent will usually try to attack with projectiles during your channel in which case be quick and hit scepter block during the channel. Rangers especially are guilty of this. Standing there with your scepter raised horizontally in the air inviting them to hit you is too obvious.
The build is fine (although you could do with more condition duration and less boon duration) but you just gotta practiceyour techniques a bit more and use skillcombos to your advantage.
Standing from afar and tickling with the staff isnt effective. Get in there shatter, get out, get in, shatter, get out, get in, shatter, get out.
_Here the article breaks off for crystal structures_
/*
DFT (GGA-PBE) results for a geometry-optimized Ac3Ho structure.

The structure in POSCAR format:
```
Ac3Ho
1.0
3.914 -6.778 0.000
3.914 6.778 0.000
0.000 0.000 6.338
Ac Ho
6 2
Direct
0.170 0.339 0.250
0.661 0.830 0.250
0.170 0.830 0.250
0.830 0.661 0.750
0.339 0.170 0.750
0.830 0.170 0.750
0.333 0.667 0.750
0.667 0.333 0.250
```

Results
ΔE_f ... 0.071 eV/atom
V ... 336.2 Å³ per cell
Space-group type ... P6_3/mmc
Crystal system ... hexagonal

---

DFT (GGA-PBE) results for a geometry-optimized Ac3I structure.

The structure in POSCAR format:
```
Ac3I
1.0
-6.247 -4.810 -0.787
5.111 -1.087 5.956
-3.279 3.689 3.487
Ac I
6 2
Direct
0.169 0.338 0.250
0.662 0.831 0.250
0.169 0.831 0.250
0.831 0.662 0.750
0.338 0.169 0.750
0.831 0.169 0.750
0.333 0.667 0.750
0.667 0.333 0.250
```

Results
ΔE_f ... -0.200 eV/atom
Excess energy over the best structure of this formula in the dataset ... 33 meV/atom
V ... 328.6 Å³ per cell
Space-group type ... P6_3/mmc
Crystal system ... hexagonal

---

DFT (GGA-PBE) results for a geometry-optimized Ac3I structure.

The structure in POSCAR format:
```
Ac3I
1.0
-0.776 4.524 5.099
-4.587 4.847 -1.592
-0.130 -6.855 -0.256
Ac I
3 1
Direct
0.750 0.250 0.500
0.250 0.750 0.500
0.500 0.500 0.000
0.000 0.000 0.000
```

Results
ΔE_f ... -0.234 eV/atom
Excess energy over the best structure of this formula in the dataset ... 0 meV/atom
V ... 168.6 Å³ per cell
Space-group type ... I4/mmm
Crystal system ... tetragonal

---

Repeat the third record exactly.
DFT (GGA-PBE) results for a geometry-optimized Ac3I structure.

The structure in POSCAR format:
```
Ac3I
1.0
-0.776 4.524 5.099
-4.587 4.847 -1.592
-0.130 -6.855 -0.256
Ac I
3 1
Direct
0.750 0.250 0.500
0.250 0.750 0.500
0.500 0.500 0.000
0.000 0.000 0.000
```

Results
ΔE_f ... -0.234 eV/atom
Excess energy over the best structure of this formula in the dataset ... 0 meV/atom
V ... 168.6 Å³ per cell
Space-group type ... I4/mmm
Crystal system ... tetragonal

---

- Look up the ΔE_f of the second one.
  -0.200 eV/atom

---

- Look up the ΔE_f of the third one.
  -0.234 eV/atom

---

Repeat the second record exactly.
DFT (GGA-PBE) results for a geometry-optimized Ac3I structure.

The structure in POSCAR format:
```
Ac3I
1.0
-6.247 -4.810 -0.787
5.111 -1.087 5.956
-3.279 3.689 3.487
Ac I
6 2
Direct
0.169 0.338 0.250
0.662 0.831 0.250
0.169 0.831 0.250
0.831 0.662 0.750
0.338 0.169 0.750
0.831 0.169 0.750
0.333 0.667 0.750
0.667 0.333 0.250
```

Results
ΔE_f ... -0.200 eV/atom
Excess energy over the best structure of this formula in the dataset ... 33 meV/atom
V ... 328.6 Å³ per cell
Space-group type ... P6_3/mmc
Crystal system ... hexagonal
*/
May the maim be with you fellow disillusioner!
Sithu Aye! I love you. if youre a girl, if youre a guy then no kitten .
The reason he didn’t specifically melt people is because 80% of his Scepter 2 blocks were wasted. You need to be sure to use it when you know you’re going to be hit.
Yeah, I was sorta doing a perpetual facepalm in that fight against the staff ele. Literally every other skill they do is a persistent aoe, I’m honestly not entirely sure how it’s possible to miss 100% of your torment blocks against a staff ele.
Other than that, the playstyle was far too passive. I wouldn’t even play a PU build like that. In shatter you need to be applying pressure constantly. If you have clones on target and a shatter is up…you need to be shattering to keep that pressure going. Maim isn’t like a power build where you can wait for the perfect moment to unload that spike. You need to maintain the pressure from torment stacks otherwise you’re completely useless.
i stopped after 6 min
i think the main problem is ppl didnt get it how the mtd works and when it needed
but this is understandable as by now mesmer never had nice aoe condi pressure so ppl got used to the pu playstyle and the new IE staff clones that can also do nice pressure by themselves
i think after more few weeks we will see more useable playstyle
i am trying to work on tutorial for both 1v1 , 1v2 , small and big groups
Basically what everyone else said. With more practice, you should see even better results with your build. I’ll be looking forward to your next video.
“The jealous are troublesome to others, but certainly a torment to themselves.”
I have never played PU condi so forgive me if the way I play shatter condi is similar, so the point is to brainlessly spamm shatters without waiting on a coordinated spike after the target is wore down? I play it as a power shatter. Scepter blocks are missing due to random dodges or evades, and that nobody can control or predict.
I’d be happy to see your footage then.
Oh yikes, I don’t mean to offend you in the least bit!
As Pyro said, it is not like power shatter where one or two bursts does the trick. Maim is a slow drain on the opponent, but you need to keep the stacks up in order for it to drain the opponent quicker.
No need to coordinate. Your goal is to wear the target(s) down, not wait for your teammates to do it. You’re the condi spec, so leave the bursting to the dps players. The more torment/confusion pressure you apply with high velocity, the more likely you’re to make your target panic…which is where the true strength in a Maim build lies…
“The jealous are troublesome to others, but certainly a torment to themselves.”
I frequently got my big stacks of torment randomly cleansed before they even tick 3 times . This is why I played it rather as a power spec, of fear of wasting my valuable condi burst and having everything on CD with the target without any torment stack.
As soon as I can log back, I will try out bursting faster and see if it does more good or harm.
I frequently got my big stacks of torment randomly cleansed before they even tick 3 times . This is why I played it rather as a power spec, of fear of wasting my valuable condi burst and having everything on CD with the target without any torment stack.
As soon as I can log back, I will try out bursting faster and see if it does more good or harm.
It’s not so much of bursting faster as it is putting out sustained pressure. Get some clones up, mind wrack, some scepter autos, now they’ve got 4-7 stacks of torment. That’s enough for cleanses. Now you land the scepter block (which you just need more practice at, it’s very possible to outplay people with that) and get a couple clones out quickly to follow up with a cry. Now they’ve got 10+ torment and are dying quickly. At this point they heal/remove conditions. You’ve thought of that though, so you’re already in the process of doing a daze shatter/chaos storm to interrupt it, and so on.
The key is that continual pressure. Keep them always on the defensive, always with torment on them. It makes people panic, blow cooldowns, and ultimately die very quickly.
The key is that continual pressure. Keep them always on the defensive, always with torment on them. It makes people panic, blow cooldowns, and ultimately die very quickly.
I have found this to be the absolute truth, I’ve put some time into maim now, been trying to use it since the beginning. Torment + Pressure = Player Panic = Win. Love the vid, keep posting more!!!
Nice vid, Miku.
Entry 1:
This record from the Materials Project describes a relaxed Mg6TiMn crystal. The functional is PBE-GGA.

Cell: 4.961 6.110 10.874 Å, 90.00 90.00 90.00°
Fractional positions:
Mg  0.500  0.252  0.418
Mg  0.500  0.748  0.418
Mg  0.000  0.751  0.088
Mg  0.000  0.249  0.088
Mg  0.000  0.000  0.326
Mg  0.000  0.500  0.328
Mg  0.500  0.752  0.918
Mg  0.500  0.248  0.918
Mg  0.000  0.251  0.588
Mg  0.000  0.749  0.588
Mg  0.000  0.500  0.826
Mg  0.000  0.000  0.828
Ti  0.500  0.500  0.168
Ti  0.500  0.000  0.668
Mn  0.500  0.000  0.165
Mn  0.500  0.500  0.665

## Properties
ΔH_f (0 K) (eV/f.u.): 1.56
Size of the total moment (μB per cell): 7.6

Entry 2:
This record from the Materials Project describes a relaxed Mg14MnV crystal. The functional is PBE-GGA.

Cell: 6.301 6.301 10.034 Å, 90.00 90.00 120.00°
Fractional positions:
Mg  0.000  0.000  0.250
Mg  0.000  0.000  0.750
Mg  0.009  0.505  0.250
Mg  0.009  0.505  0.750
Mg  0.335  0.167  0.000
Mg  0.336  0.168  0.500
Mg  0.495  0.505  0.250
Mg  0.495  0.505  0.750
Mg  0.495  0.991  0.250
Mg  0.495  0.991  0.750
Mg  0.832  0.168  0.500
Mg  0.832  0.664  0.500
Mg  0.833  0.167  0.000
Mg  0.833  0.665  0.000
Mn  0.333  0.667  0.000
V  0.333  0.667  0.500

## Properties
ΔH_f (0 K) (eV/f.u.): 2.08
Size of the total moment (μB per cell): 7.4
SG: P-6m2, No. 187

Entry 3:
This record from the Materials Project describes a relaxed Mg14MnV crystal. The functional is PBE-GGA.

Cell: 10.033 6.285 6.285 Å, 60.32 90.00 90.00°
Fractional positions:
Mg  0.000  0.000  0.000
Mg  0.000  0.002  0.501
Mg  0.000  0.500  0.500
Mg  0.000  0.501  0.002
Mg  0.254  0.165  0.165
Mg  0.256  0.664  0.664
Mg  0.261  0.171  0.671
Mg  0.261  0.671  0.171
Mg  0.500  0.003  0.501
Mg  0.500  0.501  0.003
Mg  0.739  0.171  0.671
Mg  0.739  0.671  0.171
Mg  0.744  0.664  0.664
Mg  0.746  0.165  0.165
Mn  0.500  0.499  0.499
V  0.500  0.001  0.001

## Properties
ΔH_f (0 K) (eV/f.u.): 2.12
Size of the total moment (μB per cell): 6.9
SG: Amm2, No. 38

Entry 4:
This record from the Materials Project describes a relaxed YMg6Mn crystal. The functional is PBE-GGA.

Cell: 5.059 6.473 11.259 Å, 90.00 90.00 90.00°
Fractional positions:
Y  0.500  0.500  0.174
Y  0.500  0.000  0.674
Mg  0.000  0.755  0.080
Mg  0.000  0.245  0.080
Mg  0.000  0.000  0.334
Mg  0.500  0.260  0.418
Mg  0.500  0.740  0.418
Mg  0.500  0.000  0.163
Mg  0.000  0.255  0.580
Mg  0.000  0.745  0.580
Mg  0.000  0.500  0.834
Mg  0.500  0.760  0.918
Mg  0.500  0.240  0.918
Mg  0.500  0.500  0.663
Mn  0.000  0.500  0.333
Mn  0.000  0.000  0.833

## Properties
ΔH_f (0 K) (eV/f.u.): 0.81
Size of the total moment (μB per cell): 7.1

Entry 5:
This record from the Materials Project describes a relaxed YMg6Mn crystal. The functional is PBE-GGA.

Cell: 5.099 6.436 11.282 Å, 90.00 90.00 90.00°
Fractional positions:
Y  0.500  0.500  0.167
Y  0.500  0.000  0.667
Mg  0.500  0.255  0.418
Mg  0.500  0.745  0.418
Mg  0.000  0.763  0.085
Mg  0.000  0.237  0.085
Mg  0.000  0.000  0.327
Here the entry continues:
Also nice to see our mesmer community come together and give tips for OP to improve his skills.
Nice vid, Miku.
Also nice to see our mesmer community come together and give tips for OP to improve his skills.
Us Mesmer fanatics aren’t so bad!!
“The jealous are troublesome to others, but certainly a torment to themselves.”
I have never played PU condi so forgive me if the way I play shatter condi is similar, so the point is to brainlessly spamm shatters without waiting on a coordinated spike after the target is wore down? I play it as a power shatter. Scepter blocks are missing due to random dodges or evades, and that nobody can control or predict.
I’d be happy to see your footage then.
Sorry i hope you werent offended i was just trying to give some advice about combos of skills that could be effective. All i meant to say was try playing more aggressively with your shatters. You have 4, each with the potential to apply 6 stacks of torment, 3 stacks of confusion, 3 stacks of might, plus their other intrinsic effects. Even just 1 clone shatter puts pressure on your opponent to do something about all those nasty debuffs. And once you get to 10 stacks, thats when they start panicking and making mistakes.
Power shatter only really has 1 shatter that does big spike damage. You have 4 that do big dot.
The other thing i want to restate and its not aimed at you specifically, but shattering while your clones are spread out away from your target gives them time to dodge them. Because once they see all your clones running towards them, a good player knows they have to dodge or eat a bunch of damage. So your goal is to not give them this chance.
Picture this scenario, a hammer warrior comes within melee range and stuns you. You hit mirror images to break the stun then staff blink back leaving 3 clones ontop of the target, then you shatter. This combination is too fast for most players to react.
Now after that shatter, dont back away, go in with scepter torch, stealth up, blind, get close, torch illusion, 3 stacks of confusion and retaliation, double dodge shatter again while also applying burn from your torch.
After that get ready for the counter attack, scpeter block decoy and shatter, remembering too that f4 also applies nasty conditions so if you use f4 distortion shatter while close you can mass invis away and reset/ wait for cooldowns.
This is what i mean by play more aggressively.
A PU playstyle relies on wearing your oponent down with on clone death traits and staff clone auto attacks, but if you play with mtd, and aggresively, you should be shattering as much as possible when the target is vulnerable, not giving them time to kill your clones.
Also, id like to make a vid if my laptop can handle a decent framerate while rexording. :p
Also dont take what i say the wrong way. Im only trying to help. Ive been talking with fellow mesmers about mtd since august and playing mtd since august and have endured criticism from all the ITS NOT META twerps. Im happy to see those people have been silenced by the recent buff and glad non meta builds are recieving more attention. It was kind of boring seeing only interrupt and shatter mesmers on the battle field. So im here to share my ideas in the hopes that more people will.
Keep up the good work!
here is my vid exp from today (tpvp)
it start with 2v2 wvw versus shout hammer warrior and d/d ele – lots of heal and cleanse
**What comes next are crystal structures, not part of the page:**
┌──
Na6TaGa3Si2P4O24 | the Materials Project database | PBE-GGA | optimized geometry; energy above the most stable polymorph in this dataset = 0.0 kJ per mole of atoms; size of the total moment = 0.000 μB/f.u.; DFT formation energy = -2.687 eV/atom; calculated volume = 1493.1 Å³ per cell
1.0
8.840 0.000 0.000
4.416 7.675 0.000
0.152 -0.048 22.007
Na Ta Ga Si P O
18 3 9 6 12 72
direct
0.000 0.000 0.000
0.000 0.003 0.500
0.024 0.675 0.582
0.299 0.671 0.079
0.329 0.326 0.667
0.330 0.703 0.414
0.332 0.330 0.165
0.339 0.960 0.915
0.364 0.999 0.242
0.368 0.628 0.745
0.627 0.002 0.746
0.665 0.657 0.326
0.668 0.024 0.082
0.680 0.658 0.832
0.689 0.345 0.914
0.701 0.960 0.411
0.961 0.336 0.410
0.995 0.632 0.244
0.325 0.329 0.015
0.332 0.336 0.518
0.996 0.997 0.850
0.004 0.001 0.642
0.325 0.333 0.814
0.330 0.336 0.310
0.662 0.663 0.178
0.662 0.670 0.975
0.665 0.666 0.481
0.666 0.658 0.679
0.997 0.996 0.344
0.999 0.007 0.145
0.033 0.344 0.909
0.034 0.627 0.410
0.332 0.619 0.910
0.371 0.952 0.081
0.374 0.676 0.580
0.619 0.038 0.910
0.289 0.003 0.743
0.291 0.704 0.245
0.331 0.043 0.410
0.621 0.332 0.410
0.665 0.955 0.580
0.669 0.374 0.079
0.704 0.003 0.245
0.709 0.290 0.742
0.948 0.373 0.579
0.949 0.667 0.080
0.993 0.292 0.246
0.997 0.703 0.742
0.020 0.819 0.406
0.023 0.161 0.904
0.028 0.788 0.686
0.032 0.169 0.192
0.120 0.500 0.351
0.122 0.370 0.850
0.136 0.356 0.571
0.139 0.505 0.074
0.159 0.815 0.904
0.162 0.030 0.406
0.163 0.307 0.250
0.164 0.531 0.469
0.165 0.526 0.749
0.167 0.293 0.969
0.172 0.787 0.189
0.172 0.835 0.584
0.174 0.028 0.688
0.178 0.970 0.086
0.200 0.973 0.801
0.211 0.822 0.303
0.296 0.534 0.971
0.302 0.163 0.465
0.303 0.524 0.251
0.314 0.163 0.748
0.351 0.497 0.572
0.358 0.147 0.074
0.367 0.121 0.353
0.372 0.500 0.850
0.454 0.835 0.020
0.458 0.698 0.516
0.471 0.833 0.741
0.473 0.691 0.239
0.492 0.631 0.640
0.494 0.859 0.416
0.497 0.137 0.571
0.497 0.359 0.074
0.497 0.875 0.140
0.499 0.645 0.917
0.501 0.368 0.355
0.502 0.122 0.850
0.518 0.163 0.251
0.525 0.308 0.748
0.533 0.168 0.970
0.533 0.299 0.466
0.628 0.494 0.135
0.631 0.875 0.637
0.638 0.850 0.919
0.640 0.496 0.417
0.689 0.834 0.242
0.691 0.473 0.740
0.696 0.451 0.020
0.701 0.842 0.522
0.790 0.028 0.188
0.798 0.166 0.689
0.804 0.166 0.406
0.808 0.032 0.905
0.819 0.968 0.303
0.820 0.201 0.801
0.822 0.185 0.086
0.825 0.697 0.739
0.827 0.976 0.585
0.833 0.477 0.240
0.834 0.699 0.025
0.839 0.500 0.920
0.841 0.646 0.419
0.847 0.452 0.519
0.875 0.499 0.633
0.877 0.631 0.140
0.966 0.211 0.306
0.967 0.828 0.798
0.970 0.192 0.585
0.972 0.830 0.086
└──
tpvp (forgot to switch ie to ii)
short zerg fight periphery counter
Also since you posted about condition cleanse while i was typing my previous post, you dont want to waste your more bursty condi skills while they have condi cleanse. You want to shatter shatter shatter afyer they cleanse. The scepter is the best weapon to open with if you want to bait condition cleanses. Every skill applies confusion or torment.
Also your shatter cds arent that long so dont be afraid to use them.
Edit: cool vid messiah. I think an important trick that evertone can learn from your vid is using your torment blocks on aoes is like a guaranteed hit. For example, using it on necro locust swarm, ele fire fields, engi bombs.
(edited by fluxit.8247)
Thanks Fluxit for being a trail blazer and helping to maim the meta!
“The jealous are troublesome to others, but certainly a torment to themselves.”
Taking note of everything, will try faster combos for pression (initial MW etc). True that F4 also applies torment, that was surprising when I first witnessed it.
That was the second match I did using Maim, most of your critics are true and I think I ended up following that later (better blocks and faster pression), didn’t record tho. After a few more matches the videos will be much better !
Yay!! Goodluck, Miku! I’ve begun saying “maimed” instead of “rekt” after demolishing people.
“The jealous are troublesome to others, but certainly a torment to themselves.”